Friday is Valentine’s Day and many Central New Yorkers are going to be spending money on their loved ones, the question is, how much are they willing to spend? According to nationwide surveys from Bankrate , adults spend an average of $152 on Valentine’s Day. At Sam Rao Florist in Fairmount, most Valentine’s Day arrangements will cost you anywhere from $35-$90.
[Calculated crystals, as found in the file]
........
[1]
# DyMgGe (GGA-PBE, optimized geometry)
data_DyMgGe
_cell_length_a 6.635
_cell_length_b 6.635
_cell_length_c 6.635
_cell_angle_alpha 90.00
_cell_angle_beta 90.00
_cell_angle_gamma 90.00
_symmetry_space_group_name_H-M 'F -4 3 m'
_symmetry_Int_Tables_number 216
_symmetry_space_group_name_Hall 'F -4 2 3'
loop_
_atom_site_label
_atom_site_fract_x
_atom_site_fract_y
_atom_site_fract_z
_atom_site_occupancy
Dy1 0.000 0.000 0.000 1
Mg1 0.000 0.000 0.500 1
Ge1 0.250 0.250 0.750 1
# E = -12.2 eV per formula unit
# DFT formation energy = -0.466 eV per atom
# Theoretical density = 5.90 Mg/m³

***

[2]
# TbGaAg (GGA-PBE, optimized geometry)
data_TbGaAg
_cell_length_a 3.671
_cell_length_b 16.058
_cell_length_c 4.987
_cell_angle_alpha 90.00
_cell_angle_beta 90.00
_cell_angle_gamma 90.00
_symmetry_space_group_name_H-M 'C m c m'
_symmetry_Int_Tables_number 63
_symmetry_space_group_name_Hall '-C 2c 2'
loop_
_atom_site_label
_atom_site_fract_x
_atom_site_fract_y
_atom_site_fract_z
_atom_site_occupancy
Tb1 0.000 0.163 0.250 1
Ga1 0.000 0.345 0.250 1
Ag1 0.000 0.037 0.750 1
# E = -11.0 eV per formula unit
# DFT formation energy = -0.159 eV per atom
# Theoretical density = 7.60 Mg/m³

***

[3]
# YHo3Er3Se8 (GGA-PBE, optimized geometry)
data_YHo3Er3Se8
_cell_length_a 8.0671
_cell_length_b 8.0671
_cell_length_c 19.7661
_cell_angle_alpha 90.00
_cell_angle_beta 90.00
_cell_angle_gamma 120.00
_symmetry_space_group_name_H-M 'R -3 m'
_symmetry_Int_Tables_number 166
_symmetry_space_group_name_Hall '-R 3 2"'
loop_
_atom_site_label
_atom_site_fract_x
_atom_site_fract_y
_atom_site_fract_z
_atom_site_occupancy
Y1 0.0000 0.0000 0.0000 1
Ho1 0.0000 0.5000 0.5000 1
Er1 0.0000 0.5000 0.0000 1
Se1 0.0000 0.0000 0.2506 1
Se2 0.0077 0.5039 0.2486 1
# Uncorrected formation energy = -1.809 eV per atom
# E = -88.9 eV per formula unit
# Theoretical density = 7.68 Mg/m³

***

[4]
# La3SnC (GGA-PBE, optimized geometry)
data_La3SnC
_cell_length_a 22.593
_cell_length_b 4.950
_cell_length_c 5.315
_cell_angle_alpha 90.00
_cell_angle_beta 103.47
_cell_angle_gamma 90.00
_symmetry_space_group_name_H-M 'C 1 2/m 1'
_symmetry_Int_Tables_number 12
loop_
_symmetry_equiv_pos_as_xyz
'x,y,z'
'-x,-y,-z'
'-x,y,-z'
'x,-y,z'
'x+1/2,y+1/2,z'
'-x+1/2,-y+1/2,-z'
'-x+1/2,y+1/2,-z'
'x+1/2,-y+1/2,z'
loop_
_atom_site_label
_atom_site_fract_x
_atom_site_fract_y
_atom_site_fract_z
_atom_site_occupancy
La1 0.058 0.000 0.310 1
La2 0.169 0.000 0.925 1
La3 0.191 0.500 0.451 1
Sn1 0.069 0.500 0.814 1
C1 0.169 0.000 0.408 1
# E = -29.9 eV per formula unit
# DFT formation energy = -0.377 eV per atom
# Theoretical density = 6.29 Mg/m³
........
Syracuse has frequently been named one of the worst cities in America for dating, but maybe younger generations will change that. Floral Designer at Sam Rao says that young people have been buying more flowers in recent years. The data from Bankrate echoes that, they say that Millennials have been spending an average of $208 on Valentine’s Day, more than people in older age brackets.
Fortunately for more thrifty Syracuse residents, you don’t have to spend that much to enjoy your Valentine’s Day, the Clinton Square Ice Rink has a special offer for couples to enjoy chocolate and ice skating for just $14. Syracuse resident and avid skater Vince Reynolds says that he may try to convince his wife to change their plans and go skating on Valentine’s Day.
Crystal structures, as found in the file >
'''
DFT (GGA-PBE) results for V2PtRh after structural relaxation.

Properties
Symmetry   P4/mmm (123)
Calculated total energy   -33.5 eV for the cell shown

Cell: 2.724 2.724 7.558 Å, 90.00 90.00 90.00°
Fractional coordinates of all 4 atoms:
V: 0.000 0.000 0.242
V: 0.000 0.000 0.758
Pt: 0.500 0.500 0.500
Rh: 0.500 0.500 0.000
'''
Whether you want to spend money on a grand gesture or you want to have a more laid back evening, Syracuse businesses offer options of all budget ranges to those celebrating this Valentine’s Day.
Michael Furnari: Every year on Valentine’s Day you can expect a lot of money to be spent on flowers, and this year should be no different, but Kari Lamanna of Sam Rao Florist in Fairmount says that the holiday falling on a Friday will impact spending.
# SiTeC2 PBE relaxed
data_SiTeC2
_chemical_formula_sum 'Si4 Te4 C8'
_cell_length_a 5.041
_cell_length_b 5.041
_cell_length_c 9.094
_cell_angle_alpha 90.00
_cell_angle_beta 90.00
_cell_angle_gamma 90.00
_space_group_name_H-M_alt 'I -4 2 d'
_space_group_IT_number 122
_space_group_name_Hall 'I -4 2bw'
loop_
_atom_site_label
_atom_site_fract_x
_atom_site_fract_y
_atom_site_fract_z
Si1 0.000 0.000 0.000
Te1 0.000 0.000 0.500
C1 0.159 0.250 0.125
# ΔE_f (raw)   1.034 eV/atom
# Mass density   5166 kg/m3
# Density of states at the Fermi level   6.2 states/eV per cell
# Calculated total energy   -5.719 eV per atom
# Excess energy over the best structure of this formula in the dataset   0.0 meV/atom

* * * * *

No. 1
VASP calculation (PBE) on a geometry-optimized NpMoN3 structure.

Cell: 3.1681 5.3195 6.6870 Å, 90.00 90.00 90.00°
Atoms (fractional coordinates):
Np (0.2500, 0.2500, 0.1543)
Np (0.7500, 0.7500, 0.8457)
Mo (0.2500, 0.7500, 0.4108)
Mo (0.7500, 0.2500, 0.5892)
N (0.2500, 0.5104, 0.6608)
N (0.2500, 0.7500, 0.0706)
N (0.2500, 0.9896, 0.6608)
N (0.7500, 0.0104, 0.3392)
N (0.7500, 0.2500, 0.9294)
N (0.7500, 0.4896, 0.3392)

E_form (uncorrected)	-0.598	eV/atom
crystal system	orthorhombic

=====

No. 2
VASP calculation (PBE) on a geometry-optimized Np2MoN3 structure.

Cell: 7.3072 7.3072 7.3072 Å, 153.48 153.48 37.85°
Atoms (fractional coordinates):
Np (0.1593, 0.1593, 0.0000)
Np (0.8407, 0.8407, 0.0000)
Mo (0.5000, 0.5000, 0.0000)
N (0.0000, 0.0000, 0.0000)
N (0.3375, 0.3375, 0.0000)
N (0.6625, 0.6625, 0.0000)

E_form (uncorrected)	-0.850	eV/atom
crystal system	tetragonal

=====

No. 3
VASP calculation (PBE) on a geometry-optimized NpMoN2 structure.

Cell: 5.6112 3.1824 10.9009 Å, 90.00 90.00 90.00°
Atoms (fractional coordinates):
Np (0.0755, 0.2500, 0.1445)
Np (0.4245, 0.7500, 0.6445)
Np (0.5755, 0.2500, 0.3555)
Np (0.9245, 0.7500, 0.8555)
Mo (0.0707, 0.7500, 0.4006)
Mo (0.4293, 0.2500, 0.9006)
Mo (0.5707, 0.7500, 0.0994)
Mo (0.9293, 0.2500, 0.5994)
N (0.1649, 0.2500, 0.7555)
N (0.2421, 0.7500, 0.9967)
N (0.2579, 0.2500, 0.4967)
N (0.3351, 0.7500, 0.2555)
N (0.6649, 0.2500, 0.7445)
N (0.7421, 0.7500, 0.5033)
N (0.7579, 0.2500, 0.0033)
N (0.8351, 0.7500, 0.2445)

E_form (uncorrected)	-0.916	eV/atom
crystal system	orthorhombic

=====

No. 4
VASP calculation (PBE) on a geometry-optimized NpMo2N3 structure.

Cell: 7.0109 7.0109 4.5118 Å, 91.05 91.05 140.95°
Atoms (fractional coordinates):
Np (0.2206, 0.2206, 0.2415)
Np (0.7794, 0.7794, 0.7585)
Mo (0.1242, 0.4719, 0.7793)
Mo (0.4719, 0.1242, 0.7793)
Mo (0.5281, 0.8758, 0.2207)
Mo (0.8758, 0.5281, 0.2207)
N (0.0753, 0.4158, 0.2628)
N (0.2994, 0.2994, 0.7398)
N (0.4158, 0.0753, 0.2628)
N (0.5842, 0.9247, 0.7372)
N (0.7006, 0.7006, 0.2602)
N (0.9247, 0.5842, 0.7372)

E_form (uncorrected)	-0.537	eV/atom
crystal system	monoclinic

=====

No. 5
VASP calculation (PBE) on a geometry-optimized Np3MoN4 structure.

Cell: 5.7178 6.6677 5.8763 Å, 90.00 109.77 90.00°
Atoms (fractional coordinates):
-- The entry goes on --
Kari Lamanna: I would say it’s probably about the same, and it all depends on what day it’s on. This year it falls on a Friday, so we’re not as busy because people do other things, they go out of town, out to dinner, when it’s in the middle of the week we’re a lot more busier.
Michael Furnari: Syracuse has been named one of the worst cities in America for dating, but Kari told me younger generations have been spending more on Valentine’s Day, so maybe love in Syracuse won’t be so infamous in the future. Data nationwide does echo that. A survey from Bankrate shows that about 70% of U.S. adults in relationships will spend money on their partner to the tune of $152 on average. The same survey says that Millenials will spend a whopping $208…On Friday you don’t have to spend a few hundred dollars on dinner and flowers, but Syracuse resident Vince Reynolds says how much people spend might not be in their control.
Vince Reynolds: Myself? Hey, whatever your young lady’s worth to you, that’s what you spend. You learn that. It could be a lot, it could be a little.
Michael Furnari: I’m here at the Clinton Square Ice Rink where tomorrow there’s a special Valentine’s Day Offer. Two people can get in, they can get an assortment of chocolates for just $14. That’s for some of the more frugal people celebrating Valentine’s Day. From the Clinton Square Ice Rink, I’m Michael Furnari, N-C-C News